As I hinted a week or two ago, this project started a while back and was going nowhere (in part because I realized our staple gun was several hundred miles away and had to be sent to us, but mostly because I was angry with my sewing machine, er, my lack of sewing patience), so I bagged it for a while. It is so hard to pull out a project once you put it away! But I forced myself to do it. It helped that the alternative was doing the dishes and cleaning the house. I will always avoid that.
Background story: We bought a mattress, a box spring, and four wooden feet at Ikea when we got married. We figured any real bed we could afford would not survive the moves we knew we would be making during our first few years of marriage (sure enough, it has been five years, and we have moved 7 times or so--I'm losing track). We never really decorated beyond a couple of propped on our dresser or on shelves (I never felt like making holes only to fill them a few months later). Now that we have our own place, I am itching to make it feel like we have settled down, though for all I know we may be moving again in a matter of months. So I had to make something easy, inexpensive, and portable.
(Misplaced records of molecules)
Formula: C31H74ClO10S
Source: OMol25
Level of theory: ωB97M-V/def2-TZVPD

Geometry as XYZ:
```
117
Properties=species:S:1:pos:R:3:forces:R:3:mulliken_charge:R:1
C 2.3435 2.4227 -2.7970 -0.2 0.0 0.2 -0.70
C -1.6511 -1.2287 0.8165 -0.3 0.0 0.1 -1.40
C -5.4087 -4.2669 1.5204 0.1 0.2 0.0 -0.04
H -1.8498 -1.4802 1.8440 0.0 -0.3 0.1 0.34
C -0.1569 -0.7084 -1.0265 0.0 -0.1 0.8 -0.60
S 1.3276 -1.2697 -1.8752 0.5 0.7 -0.9 0.31
O 5.2385 -4.0860 -2.6305 0.0 0.0 -0.2 -0.48
H 1.7469 -3.2460 -3.1088 0.3 0.1 0.0 -0.03
C 0.5234 0.3063 3.3735 0.1 0.3 0.0 -0.08
H -6.0709 -5.0271 1.9296 -0.1 0.0 0.0 0.35
C -2.2576 -4.9576 -1.1295 0.2 0.1 -0.1 -0.59
H 2.6346 0.1300 3.7688 0.0 0.0 0.0 0.22
H -4.3785 -4.4076 -3.2672 -0.1 -0.1 -0.1 0.37
H 4.3909 4.2039 -7.5491 0.0 0.0 -0.1 0.33
H 2.5993 1.3844 -2.5617 0.2 0.0 0.0 0.08
H 7.1717 6.5498 0.1354 0.0 0.0 0.0 0.39
O -9.0364 1.1400 1.2561 0.1 -0.1 0.0 -0.51
H 2.2346 0.2087 2.0420 0.0 0.0 0.0 0.15
C -0.2446 -3.4933 -2.3181 0.1 0.0 -0.2 0.82
H -3.9483 -4.4261 3.0962 0.0 0.0 0.0 0.34
H -7.9818 0.1465 2.6687 0.0 0.0 0.0 0.21
H 1.9598 4.2627 -1.7552 -0.1 0.0 0.1 0.26
H -0.6825 -5.9079 -0.0032 -0.1 -0.2 0.2 0.45
H -7.5958 -0.0242 -2.3031 0.0 0.1 0.1 0.28
C 5.1380 -5.2952 -3.3838 -0.2 0.0 0.1 -0.23
H 3.7525 3.8541 4.4037 0.0 0.0 0.0 0.07
H -3.6082 -5.4570 1.6968 0.0 0.0 0.0 0.33
H 4.3589 0.0266 5.9786 -0.1 0.0 -0.1 0.26
H -3.3183 -3.7106 1.6137 0.0 -0.1 -0.1 -0.01
H 3.9549 4.5125 6.0390 0.0 0.0 0.0 0.33
C 3.9552 -5.2738 -4.3339 0.0 0.1 0.0 -0.72
H -1.7992 -2.5559 -3.4701 -0.1 0.1 -0.1 0.54
H -7.9049 -2.6946 -0.8317 0.0 0.0 0.0 0.17
H 4.0840 1.7518 5.6961 0.1 0.0 0.0 -0.03
H 2.1346 0.7296 6.9035 0.0 0.0 0.0 0.24
C 4.1762 3.1334 -7.5271 0.0 0.0 0.1 -1.05
H 0.3320 -1.7348 0.9509 0.5 0.3 -0.1 0.54
C 6.1579 6.1543 0.0636 0.0 -0.1 -0.1 -0.97
H 0.5497 -2.2216 -3.8855 0.0 0.3 -0.1 0.60
H 3.1000 2.8221 -3.4665 0.0 0.0 -0.1 0.37
H -0.1421 0.7641 2.6328 0.0 -0.1 -0.1 0.26
H -10.9942 0.5490 3.0543 0.0 0.0 0.1 0.35
H 4.3274 6.3681 2.9965 0.0 0.0 0.0 0.25
C 0.0755 -4.4326 -1.3380 -0.4 0.1 -0.1 -0.44
C -3.9864 -4.4821 2.0083 -0.1 0.1 0.1 -0.68
H -2.4982 -0.9116 0.2266 -0.1 0.3 -0.1 0.35
O 5.4518 1.3441 7.1326 0.0 0.1 -0.2 -0.54
H 4.8557 2.6767 -6.8069 0.0 0.0 0.0 0.27
H 2.0524 3.3373 -7.8526 0.0 -0.1 -0.1 0.25
H 5.0622 -6.1470 -2.7011 0.1 -0.1 -0.1 0.25
H 6.0704 -5.3866 -3.9360 0.0 0.0 0.0 0.31
C -4.0269 -3.7477 -2.4853 0.6 0.4 0.7 -1.19
H 6.1364 5.1623 0.5123 0.0 0.0 0.0 0.24
H -7.2538 -1.9154 -3.6119 0.0 0.0 0.0 0.27
H 5.4995 6.7902 0.6570 0.1 0.1 0.0 0.25
C 1.9758 0.5924 3.0332 0.0 0.0 0.1 -0.75
O 0.1805 0.7803 4.6677 0.0 -0.2 0.0 -0.58
H 1.3875 2.4138 -3.3221 0.0 0.1 -0.1 0.22
H 2.1715 1.6667 3.0461 0.0 0.0 -0.1 0.32
H 1.1040 -4.5750 -1.0487 0.2 -0.1 0.0 0.44
H -5.3763 -2.3174 1.5754 0.0 0.0 0.0 0.26
C -8.8877 0.7491 2.6210 -0.2 0.1 0.0 -0.20
O 5.0891 5.7955 3.1269 0.1 -0.1 0.1 -0.42
C 2.7344 2.8846 -7.1261 0.1 0.2 0.0 -0.23
H 3.0148 5.3967 4.8234 0.0 0.0 0.1 0.42
C 3.0617 0.9758 7.4254 0.0 0.0 0.0 -0.94
(End of the records of molecules)
Enter seven bazillion headboard tutorials on Pinterest.
I actually think that number is a low estimate. Apparently everyone makes their own headboards these days. Why not me?
I decided I wanted something soft (no old window panes or barn doors) that had some visual interest but wasn't overwhelming, since I am going for a calm, neutral, airy feel.
My materials:
*1 plywood sheet, cut to 4 feet by 5 feet (we have a queen bed, which is five feet wide, and I decided I wanted the headboard four feet high. I actually think I might have liked it better a little lower, but perhaps I just need to adjust to having anything there at all.),
+++
Entry 1:
Formula: C7H14O2
Source: the OMol25 dataset
Level of theory: ωB97M-V/def2-TZVPD

Each line ends with the natural charge from an NBO analysis.
CARTESIAN COORDINATES (ANGSTROEM)
C -0.57151 -0.28364 2.25160  -0.72
C -1.52007 0.85650 -1.09917  -0.60
C 0.42422 1.62010 0.28744  -0.62
C -0.81561 -0.55668 0.79360  0.64
C -0.34220 0.41117 -0.22725  -0.19
O -1.29697 -1.64490 0.44084  -0.60
H -0.69721 -1.92699 -0.98471  0.50
H -0.94725 0.69819 2.52725  0.23
H 0.49686 -0.30517 2.46150  0.24
H -1.06491 -1.04944 2.84484  0.24
H -1.16447 1.49995 -1.90231  0.21
H -2.24188 1.41424 -0.50190  0.20
H -2.02255 0.00092 -1.54284  0.24
H 1.22544 1.34702 0.96974  0.21
H 0.86767 2.15373 -0.55299  0.22
H -0.23985 2.30803 0.81103  0.21
C 1.88003 -1.04920 -0.50573  -0.65
C 0.64634 -0.54481 -1.24983  0.17
O -0.09434 -1.56011 -1.77920  -0.75
H 0.91466 0.16932 -2.03751  0.17
H 2.48310 -0.23074 -0.12162  0.20
H 2.48947 -1.62625 -1.19966  0.23
H 1.59103 -1.70129 0.31687  0.20

Forces on the atoms, in the same order (eV/Å):
C -0.42 -0.28 -0.01
C -0.01 -0.11 0.11
C -0.07 -0.23 0.08
C 0.13 -1.21 0.19
C 0.94 -0.80 -1.81
O -0.03 1.06 0.86
H 1.44 0.94 -1.92
H 0.02 0.15 0.04
H 0.11 0.04 -0.06
H 0.01 0.00 0.02
H 0.04 0.07 -0.04
H -0.07 0.10 -0.01
H 0.00 0.00 0.00
H 0.09 0.01 0.04
H -0.01 0.03 -0.03
H -0.02 0.09 0.01
C -0.14 0.19 -0.29
C -0.66 1.63 1.71
O -1.53 -1.49 0.98
H 0.08 -0.12 -0.01
H 0.10 0.09 0.06
H 0.03 -0.06 0.02
H -0.01 -0.10 0.07

* E_tot: -11580.792 eV
* orbital gap: 0.369 hartree
* highest occupied orbital energy: -9.3 eV
* spin multiplicity: 1
* structure (SMILES): CC(=O)C(C)(C)[C@@H](C)O
* energy relative to the best compared isomer or geometry (same formula, charge and spin): 11.9 kcal/mol
* maximum force: 2.58 eV/A



Entry 2:
Formula: C22H44Cl4O11
Source: the OMol25 dataset
Level of theory: ωB97M-V/def2-TZVPD

Each line ends with the Mulliken spin population.
CARTESIAN COORDINATES (ANGSTROEM)
C -1.39632 2.19417 4.49711  0.00
Cl -0.88823 0.62870 5.06101  0.00
Cl -3.16040 2.28591 4.11624  0.00
H -1.19737 2.94208 5.26467  0.00
H -0.88105 2.47981 3.58004  0.00
C -0.50348 0.39089 0.39828  0.00
Cl -0.79360 2.10253 0.87232  0.00
Cl -0.86946 -0.63657 1.88823  0.00
H -1.23078 0.02732 -0.32764  0.00
H 0.50663 0.26448 0.00865  0.00
C 6.69336 3.44499 3.19215  0.00
C 5.70765 2.96785 2.19226  0.00
O 4.75335 2.19890 2.95354  0.00
C 4.21758 0.99658 2.44583  0.00
O 4.50418 0.46169 1.31668  0.00
O 3.25694 0.59448 3.26267  0.00
C 2.55448 -0.58198 3.04205  0.00
H 7.25143 4.33048 2.88791  0.00
H 7.45532 2.69988 3.42090  0.00
H 6.26291 3.76701 4.14037  0.00
H 6.19911 2.30360 1.48139  0.00
H 5.11655 3.72388 1.67543  0.00
H 1.86440 -0.55825 3.88546  0.00
H 3.17996 -1.46010 3.20262  0.00
H 1.93167 -0.72074 2.15834  0.00
O -3.35150 -3.19958 2.50416  0.00
C -2.47652 -3.93216 2.14319  0.00
O -2.03889 -4.15040 0.91654  0.00
C -2.52085 -3.46117 -0.23818  0.00
C -2.74240 -4.56324 -1.30349  0.00
C -1.84648 -4.94552 3.05758  0.00
H -1.90378 -2.63501 -0.59142  0.00
+++
*1 piece of upholstry foam, 2 feet by 6 feet, bought at the only fabric store in town.
*2 yards of silvery grey fabric that I initially bought to cover a bulletin board in our church nursery, until the nursery leader decided she wanted to do something different.
*Spray adhesive
*Staple gun and staples
I wanted to sew ruffles at regular intervals across the fabric, and had read about a thousand different "super easy" ruffle tutorials so I thought this would be relatively simple. Not so. For the life of me I could not get this very large piece of fabric to gather nicely when I did the pull-the-bottom-thread technique, and then I couldn't get it to stay ruffled when I tried to go over it again to fix it in place. My matching thread was apparently junk and kept breaking, so I would have to start over again. I don't
really know how to use my sewing machine, so I kept messing things up. Finally I just went with the only idiot ruffle technique that I can manage. The down side to this technique is that you can't control the final length of the ruffle. The up side is that I can actually pull it off. And I lucked out that it gave me just the right width, which was a little more than half of the original width of the fabric.
I have no pictures because I was far too angry at the universe and was wanting to trash the whole thing, so I apologize for that. Here is the technique:
1. Set the tension on your sewing machine as tight as you can (my tension dial goes up to 9, so I set it at a 9. I don't really know what that means, and have never cared to figure it out).
2. Set your machine to the longest possible stitch.
3. Feed the fabric through like normal, and the machine will do the ruffling for you.
I ended up doing half of the gathers with my matching thread, then going back and fixing all the broken spots and doing the rest with my more sturdy white thread. Luckily the clashing thread isn't
too noticeable.
Next I got out my board and put it together. This took all of about 10 minutes, in part because, as you will see, I did not pick up the toy room before I began. What can I say? I have no shame.
I sprayed both the top of the board and the back of the foam with adhesive and stuck them together, like so.
Next I pulled the foam around the sides and stapled it down thusly,
resulting in this:
I draped my gathered fabric over the top (it has character, doesn't it? [That is poor code for it is crooked and poorly done]),
I stapled the fabric around the back,
added a few staples at the bottom on the front, and ta-da!
I hauled it into our room and shoved it between the bed and the wall. At some point we will probably secure it to the wall, but it isn't as wobbly as I would have expected.
Now remember, our bed used to look like this:
Now it looks like this:
Better, right? The effect would be superior if I took a broader picture of the room, but I'll just come out and say I didn't feel like cleaning so I just cropped it out. Still, don't look closely; I think you can see some shoes and a baby hoodie halfway under the bed. Headboard! That's what we want to see!
I honestly don't think this is going to be a keeper in the long term just because the sewing job is bad and the gathers will come undone over time. But for the now it fits the bill, the price was right, and I am really happy that it actually came out just as I envisioned it.